-- Input --
<<<
No. 1
Starting from the PBE geometry in the Materials Project, the X-ray powder pattern of MgAg20Bi4O16 was calculated for CuKα.
Peak positions follow from Bragg's law for the DFT cell and can differ from measured ones.

The 10 most intense peaks (10 to 90 degrees two-theta), sorted by position:
hkl -1 2 2, 2θ = 27.56°, d = 3.237 Å, I 47
hkl -1 1 4, 2θ = 32.18°, d = 2.782 Å, I 58
hkl 0 3 -2, 2θ = 32.48°, d = 2.757 Å, I 100
hkl 0 3 2, 2θ = 32.89°, d = 2.723 Å, I 46
hkl 1 1 4, 2θ = 33.35°, d = 2.686 Å, I 47
hkl 0 2 -4, 2θ = 33.56°, d = 2.671 Å, I 57
hkl 1 3 0, 2θ = 33.96°, d = 2.639 Å, I 72
hkl 2 1 -2, 2θ = 34.30°, d = 2.614 Å, I 49
hkl 2 -2 0, 2θ = 34.79°, d = 2.579 Å, I 44
hkl 2 2 0, 2θ = 36.72°, d = 2.447 Å, I 45

Structure:
abc: 6.0496 9.0578 13.1070
angles: 90.73 91.40 93.20
Fractional positions:
Mg1 0.0000 0.0000 0.0000
Ag1 0.0368 0.5283 0.4278
Ag2 0.0996 0.9964 0.6970
Ag3 0.1007 0.5148 0.9176
Ag4 0.2473 0.2845 0.3130
Ag5 0.2693 0.9105 0.3956
Ag6 0.2902 0.2710 0.5565
Ag7 0.3008 0.2810 0.0553
Ag8 0.3272 0.2595 0.8060
Ag9 0.3382 0.6277 0.7190
Ag10 0.4734 0.0477 0.1970
Ag11 0.5307 0.5307 0.4283
Ag12 0.5710 0.5234 0.9134
Ag13 0.5996 0.9930 0.7007
Ag14 0.7341 0.2323 0.9461
Ag15 0.8064 0.3951 0.2291
Ag16 0.8104 0.7655 0.5567
Ag17 0.8137 0.7567 0.3063
Ag18 0.8533 0.7142 0.0322
Ag19 0.8564 0.7720 0.8272
Ag20 0.9947 0.0333 0.2164
Bi1 0.3014 0.6527 0.1849
Bi2 0.4447 0.8921 0.9452
Bi3 0.7667 0.1291 0.4526
Bi4 0.8201 0.4019 0.6696
O1 0.1286 0.1325 0.4359
O2 0.2057 0.9177 0.1083
O3 0.2362 0.1173 0.9323
O4 0.2896 0.6667 0.3609
O5 0.3429 0.8636 0.7681
O6 0.3477 0.6439 0.0057
O7 0.3658 0.4191 0.1877
O8 0.4544 0.4020 0.6799
O9 0.6979 0.0434 0.0361
O10 0.7022 0.8869 0.4300
O11 0.7428 0.1678 0.2816
O12 0.7756 0.3969 0.4927
O13 0.8255 0.3976 0.8437
O14 0.8492 0.1257 0.6321
O15 0.9139 0.6393 0.6801
O16 0.9397 0.6176 0.1844

---

No. 2
Starting from the PBE geometry in the Materials Project, the X-ray powder pattern of MgAg20Bi4O16 was calculated for CuKα.
Peak positions follow from Bragg's law for the DFT cell and can differ from measured ones.

The 10 most intense peaks (10 to 90 degrees two-theta), sorted by position:
hkl 2 0 0, 2θ = 29.49°, d = 3.029 Å, I 71
hkl 1 1 4, 2θ = 31.91°, d = 2.804 Å, I 49
hkl 1 -1 4, 2θ = 32.63°, d = 2.745 Å, I 47
hkl 0 2 4, 2θ = 33.67°, d = 2.662 Å, I 54
hkl 2 -1 2, 2θ = 33.77°, d = 2.654 Å, I 54
hkl 1 1 -4, 2θ = 33.99°, d = 2.638 Å, I 83
hkl 0 3 -2, 2θ = 34.10°, d = 2.629 Å, I 100
hkl -2 1 2, 2θ = 34.70°, d = 2.585 Å, I 54
hkl 0 2 -4, 2θ = 35.06°, d = 2.559 Å, I 95
hkl 2 2 0, 2θ = 36.06°, d = 2.491 Å, I 87

Structure:
abc: 6.0600 8.7822 13.0116
angles: 87.66 87.02 89.95
Fractional positions:
Mg1 0.0000 0.0000 0.0000
Ag1 0.1501 0.6077 0.9689
Ag2 0.1597 0.0641 0.7074
Ag3 0.2025 0.5843 0.4648
Ag4 0.2385 0.1552 0.2042
Ag5 0.3960 0.8321 0.8365
Ag6 0.4007 0.8409 0.5793
Ag7 0.4092 0.2175 0.4867
Ag8 0.4424 0.8600 0.3347
Ag9 0.4557 0.8406 0.1031
Ag10 0.4637 0.4393 0.2082
Ag11 0.6524 0.0743 0.7017
Ag12 0.6641 0.6104 0.9732
Ag13 0.6725 0.1570 0.2405
Ag14 0.6944 0.5800 0.4665
Ag15 0.8696 0.3706 0.1013
Ag16 0.8739 0.8362 0.8314
Ag17 0.9391 0.6813 0.6547
Ag18 0.9416 0.2894 0.8407
Ag19 0.9607 0.3399 0.5981
Ag20 0.9819 0.3648 0.3380
Bi1 0.4403 0.4585 0.7251
Bi2 0.4550 0.1982 0.9595
Bi3 0.9169 0.9803 0.4483
Bi4 0.9574 0.7429 0.2173
O1 0.0791 0.4688 0.7268
O2 0.0894 0.5110 0.2106
O3 0.1062 0.2078 0.0288
O4 0.2787 0.9895 0.4553
O5 0.3224 0.9550 0.9715
O6 0.3870 0.1980 0.7894
O7 0.4206 0.4745 0.9052
O8 0.4379 0.4484 0.5439
O9 0.5088 0.7073 0.7081
O10 0.5977 0.7058 0.2268
O11 0.7857 0.0708 0.8990
O12 0.8584 0.2263 0.4669
O13 0.9067 0.7714 0.0299
O14 0.9181 0.9365 0.6294
O15 0.9528 0.7156 0.3937
O16 0.9600 0.0081 0.2735

---

No. 3
Starting from the PBE geometry in the Materials Project, the X-ray powder pattern of MgAg20Bi4O16 was calculated for CuKα.
Peak positions follow from Bragg's law for the DFT cell and can differ from measured ones.

The 10 most intense peaks (10 to 90 degrees two-theta), sorted by position:
>>>

-- To do --
The reader should give back only the last part of the rows above, starting with the line that has "O16 0.9600".

-- Solution --
O16 0.9600 0.0081 0.2735

---

No. 3
Starting from the PBE geometry in the Materials Project, the X-ray powder pattern of MgAg20Bi4O16 was calculated for CuKα.
Peak positions follow from Bragg's law for the DFT cell and can differ from measured ones.

The 10 most intense peaks (10 to 90 degrees two-theta), sorted by position: